With the onset of the COVID-19 pandemic, many have found themselves and their families on shaky economic ground. There are significant inequalities in the degree to which different people have faced exposure, vulnerabilities and the capacity to respond to COVID-19- related shocks, due in part to substantial differences in their experience of economic risk. Such preexisting inequalities have highlighted the extent to which large-scale crises have an uneven impact on the economic security of households and individuals. Inequalities in education, health and employment result in some groups being more economically insecure than others. Evidence from the United States and Europe, for example, shows that economic insecurity is higher among people with lower levels of education and lower incomes as well as among younger adults, racial and ethnic minorities, and heads of single-parent households (Hacker and others, 2014; Hacker, 2018). About half of large income losses from year to year are triggered by changes in employment status, family structure and health status (Hacker and Rehm, 2020). Economic insecurity is a threat to achieving the Sustainable Development Goals and carries considerable personal and social costs. Both the experience of economic loss and its prospect impose material hardship and lead to poorer health. Economic insecurity affects people’s productivity as well as their ability to invest in their children’s education and health. At the same time, the cost to individuals and households of essential services, particularly health care, is a major cause of insecurity. Poverty breeds insecurity and widespread insecurity makes it harder to eradicate poverty and hunger. While living standards have improved across the board over the last decades, these gains are fragile, as the COVID-19 pandemic has demonstrated. This policy brief highlights inequality in the experience of economic security focusing on the risks to livelihoods and the protections against those risks as laid out by the Universal Declaration of Human Rights. In recognizing the right to “security in the event of unemployment, sickness, disability, widowhood, old age or other lack of livelihood in circumstances beyond one’s control”, the Universal Declaration highlights the crucial importance of economic security to everyone’s rights and well-being.
Key factors underpinning economic insecurity
Unemployment and under-employment
Unemployment causes large drops in household income. In some cases, unemployment is transitory but, for many, it is a persistent risk to economic security that must often be borne individually. Unemployment protection schemes, like unemployment insurance, public employment programmes or minimum income guarantees, are not available everywhere or to everyone. Coverage of these programmes is often low, most notably for those who are self-employed, have short work histories, or are in informal employment. Globally, less than 22 per cent of unemployed persons received an unemployment cash benefit before the pandemic. The lack of assistance for the unemployed in part drives under-employment, where many are engaged in work that is less productive than they could and would like to carry out. The labour market continues to make distinctions based on individual attributes that should have no bearing on job opportunities, including age, ethnicity and gender, affecting people’s ability to achieve economic security through work. Before the pandemic, global unemployment among young people (ages 15 to 24) was three times that of adults (ILO, 2020). Young workers are more likely than older workers to be unemployed as a result of the pandemic, risking labour market scarring that can negatively affect employment and wage prospects for the remainder of their lives. Unemployment benefits for first time job seekers are rare, and young workers frequently do not meet the minimum contributory period required to qualify for them (United Nations, 2018). Before the pandemic, women’s unemployment rates were slightly higher than men’s globally, yet women’s disadvantage relative to men in terms of participation, formality, occupation and wages was pervasive and particularly pronounced among ethnic minority and indigenous women (ILO, 2018; United Nations, 2016). During the COVID-19 crisis, women’s paid and unpaid work has helped to maintain many households’ economic security – including through the provision of unpaid care for dependants. A large proportion of women work in the sectors most affected by the pandemic, leading to more job loss among women, who are at the same time shouldering the increased burden of childcare with the closure of schools and day care centres. Globally, more women have dropped out of the labour force than men since the crisis began. Indeed, in times of crisis, the time women spend in unpaid care work increases.
Sickness and disability
Health shocks and high out-of-pocket medical expenses are the main source of economic insecurity and reasons for falls into poverty in both developed and developing countries. When people get sick, livelihoods suffer both due to lost earnings and due to the financial costs of medical care, particularly where health insurance is lacking or insufficient. The relationship between health and socioeconomic status goes both ways. People in poorer health have lower labour force participation and wages, while those with lower education consistently report poorer health than those with higher educational attainment (OECD, 2017). Economic risk increases further when sickness leads to long-term disability. Persons with disabilities face the dual challenge of covering higher costs of living due to their disability and, at the same time, significant obstacles to realizing their earnings potential, primarily due to physical and social barriers that hinder their access to services and employment (United Nations, 2018). It is hard to disentangle the relationship between disability and economic risk. The risk of disability increases at older ages and its onset is often a result of a process of cumulative disadvantage. For example, disability among adults of working age is both reflective of earlier socioeconomic disadvantage – childhood poverty and low educational attainment – and a source of hardship that continues into old age, in part due to reduced employment-based pensions.
Widowhood and union dissolution
Families have historically been a source of economic security, particularly in the absence of formal support from the State. At the time of the adoption of the Universal Declaration of Human Rights, the idea of a malebreadwinner model predominated; the death of an adult male meant the loss of the main source of earnings in the household. The loss of spouse or partner, either through death, divorce or separation, continues to act as a driver of income loss and falls into poverty, particularly for women and children. Widowhood results in a substantial decline in household income and sometimes assets among women. In the event of a spouse’s death, inheritance rights for women continue to be limited in many parts of the world; 43 countries do not grant widows and widowers the same rights to inherit assets (World Bank, 2020). Women are also more likely to suffer a long-term economic loss due to divorce than men (de Vaus and others, 2015; Leopold, 2018). In the United States, differences in union stability explain some of the racial gap in wealth among older women (Addo and Lichter, 2013).
• Next to the article, the page also holds data records:
____________
[1]
Formula: C40H38BNO2P2Rh
Source: OMol25
Level of theory: the ωB97M-V functional and the def2-TZVPD basis

```
85
Properties=species:S:1:pos:R:3:forces:R:3
Rh -0.07402 0.34078 -0.79188 1.779 -0.495 -1.519
C 1.68068 -2.19982 -1.55748 -0.557 0.027 0.312
P -0.17652 -1.84562 -1.75288 1.381 -2.795 0.142
C -0.43772 -2.34932 -3.49088 -0.223 0.641 0.074
C -0.07372 -3.61692 -3.94048 0.148 0.031 0.141
C -0.40572 -4.02052 -5.22088 0.036 -0.048 -0.032
C -1.06182 -3.15432 -6.08288 0.002 0.036 0.083
C -1.37492 -1.87542 -5.65748 -0.078 0.035 -0.189
C -1.07642 -1.47942 -4.36578 0.053 -0.041 0.168
C -0.97772 -3.15822 -0.77668 -0.291 0.363 -0.112
C -1.69512 -4.22862 -1.30418 0.028 0.057 0.022
C -2.35912 -5.08972 -0.44588 -0.051 -0.100 0.002
C -2.34542 -4.87312 0.92152 0.040 -0.004 0.018
C -1.63162 -3.80762 1.44592 0.016 -0.047 0.100
C -0.94642 -2.95632 0.60302 -0.030 0.031 -0.284
C 2.29658 -1.02152 -2.19678 1.215 -1.049 -1.544
C 3.08338 -0.83812 -3.35998 -0.984 -1.329 1.859
C 3.06168 0.51608 -3.64548 -1.175 1.847 1.144
C 2.25688 1.13188 -2.65408 1.038 0.465 -1.947
C 1.72938 2.50638 -2.48928 -0.415 0.077 0.453
P -0.10092 2.36108 -2.01498 1.664 2.336 0.872
C -1.00032 2.69588 -3.56478 -0.378 -0.951 0.405
C -2.08552 1.88688 -3.88378 0.086 0.071 0.133
C -2.76622 2.07658 -5.07338 -0.108 -0.033 -0.117
C -2.38512 3.09948 -5.92708 -0.060 -0.096 0.038
C -1.35792 3.96028 -5.56968 0.039 -0.007 -0.014
C -0.65932 3.76008 -4.39388 0.192 -0.022 0.177
C -0.45532 3.85228 -1.04098 -0.204 -0.083 0.019
C -1.62322 4.58198 -1.25928 0.174 -0.086 -0.079
C -1.93862 5.64428 -0.43248 -0.046 0.059 0.155
C -1.10462 5.96768 0.62712 -0.122 0.029 -0.045
C 0.04448 5.22828 0.86402 0.009 0.078 0.061
C 0.36458 4.16728 0.04102 -0.062 -0.071 -0.172
N 1.86258 0.18978 -1.77598 -3.080 0.212 1.643
H 1.85608 -2.20422 -0.47538 0.092 -0.211 -0.105
H 1.98418 -3.15202 -1.99398 -0.111 0.101 0.046
H 0.45788 -4.29462 -3.28848 -0.004 -0.097 0.060
H -0.16212 -5.01922 -5.54988 0.095 -0.077 -0.006
H -1.32522 -3.48152 -7.07808 0.007 0.018 -0.061
H -1.86242 -1.18862 -6.33208 -0.062 0.095 -0.053
H -1.33702 -0.48872 -4.02798 -0.030 0.058 -0.068
H -1.75092 -4.39362 -2.37148 -0.034 0.030 0.062
H -2.90072 -5.93362 -0.84508 -0.082 -0.042 -0.078
H -2.89672 -5.52862 1.57772 -0.026 -0.087 0.060
H -1.62042 -3.63242 2.50872 0.009 0.014 0.195
H -0.39562 -2.11222 0.99702 -0.071 -0.163 0.103
H 3.60738 -1.60212 -3.90408 0.010 -0.171 0.002
H 3.55578 1.00398 -4.46268 0.088 0.223 -0.089
H 2.21708 2.99988 -1.64088 -0.116 0.127 -0.131
H 1.87218 3.11498 -3.38288 -0.106 -0.031 0.096
H -2.40302 1.12888 -3.17508 -0.029 -0.060 -0.137
H -3.58722 1.42498 -5.33358 -0.092 -0.012 -0.019
H -2.89532 3.23458 -6.86818 -0.088 0.044 -0.060
H -1.09832 4.78558 -6.21468 0.049 0.068 -0.041
H 0.12398 4.44608 -4.10458 0.120 0.017 -0.048
H -2.28612 4.31738 -2.07068 -0.031 0.041 -0.066
H -2.84592 6.20658 -0.60428 -0.007 0.035 0.001
H -1.36702 6.78528 1.28052 0.022 0.100 0.058
H 0.68128 5.47428 1.70032 0.063 0.010 0.059
____________
Life cycle and old age
Slightly more than two-thirds of older persons globally receive a pension, but the pension amounts are frequently insufficient to keep them out of poverty. As a result, many older persons across the world rely on their own labour, savings, or on their family, for support in old age. Yet growing insecurity in labour markets, smaller family sizes and increasing longevity are straining the traditional sources of old-age support. Inequality compounds over the life course, and its cumulative effect is most felt in old age. Disparities in education, employment and health, including by gender, race and ethnicity, translate into inequality in the risk of economic insecurity in old age. For some workers, retirement comes with an anticipated reduction of income, one for which they have prepared for over time. However, low pension coverage and benefits puts many older adults at risk of economic insecurity. Segmented work histories, employment in less-skilled occupations or in the informal sector and lower lifetime wages for low-income workers, including women and ethnic minorities, mean lower contributory pensions and savings in old age, and higher levels of old-age poverty. In countries of the OECD, 16 per cent of women 65 and older live in poverty, compared to 10 per cent of men in the same age group. About twothirds of lifetime earnings inequality passes on to pension inequality in the OECD (OECD, 2017). Disparities in life expectancy and health in old age also affect inequalities in economic security. Women tend to live longer than men, resulting in more expected years in old age but fewer financial resources to draw on. In general, lower levels of education and income lead to shorter lifespans. Higher mortality is paralleled by worse health in old age, with significant disparities in disabilityadjusted life years between groups in higher and lower socioeconomic status.
Policy responses to inequality in economic risk
A full recovery from the pandemic will not be possible without addressing economic security and reducing inequality. Otherwise, people and families who already faced insecurity before the crisis are likely to be excluded from the benefits of recovery. Building resilience to future shocks provides an opportunity to reduce inequality and economic insecurity. Some groups face higher economic risk than others as well as lower protection from employers and governments when faced with unemployment, health shocks, disability, union dissolution and other forms of hardship in old age. These risks are not separate but often interrelated: a shock in one domain frequently leads to another. The answer to “who is insecure” has a dynamic dimension as people may move in and out of situations of high economic risk. There is also high degree of intersection among people who are insecure – for example, workers in the informal economy or in non-standard contractual arrangements are highly insecure; women, indigenous peoples, persons with disabilities, youth, older persons and migrants are often overrepresented in this group. Many governments already spend a substantial percentage of GDP on social protection programmes to safeguard against hardship-causing losses due to these risks. On average across developed countries, public transfers protect about 40 per cent of adults against large (25 per cent or more) drops in income from one year to the next (Hacker, 2018). Social protection and good-quality public services also promote society-level economic security by acting both as a safety net and as automatic stabilizers, partly compensating for income reductions during crises. Countries that have social protection schemes in place are in a better position to scale them up quickly and enhance their beneficial effects during crises. Yet the effectiveness of social protection systems in smoothing incomes in the face of economic risk differs significantly across countries as well as across households. Low-income households experience higher income volatility than other groups, even after considering the effect of taxes and public transfers (Rohde, Tang and Rao, 2014; Hacker and Rehm, 2020). Large-scale crises such as the current one heighten risk and insecurity across large swaths of society and have, at times, opened a path to expanding social protection systems. In other words, widespread insecurity has often led to higher demand for social protection. The importance of social protection is widely recognized, now. The unprecedented levels of income support and health measures put in place by governments as a response to the COVID-19 pandemic attest to the primary role that social protection plays in confronting economic risk and insecurity, and in narrowing inequalities. The challenge that remains is reaching those people who were excluded from social protection even before the pandemic. Investing in social protection systems and ensuring access for all, regardless of a person’s age, gender, race, ethnicity, disability, origin or economic, migratory or other status, reduces inequality and promotes inclusion. Now is the time to reflect on how to bring past systems of protection into the future to adapt to a new socioeconomic reality and guard against the next global crisis.